Reluctantly, I pull away from the soft look in his large brown eyes to go fetch a damp cloth. I wipe him off gently and keep my eyes on my task, to avoid looking too long at all his masculine, monstrous beauty. It’s strange how much his looks affect me. I’m not normally the sort of person who cares very much if a guy is good looking. I mean, it’s nice. I used to think James was gorgeous, but after a while, maybe those early hormones wore off, or I saw the ugliness underneath. Since then, I don’t normally notice guys. Not like that.

I notice Jarradek, though.

I notice the way his taut belly jumps as I wipe him, careful not to smudge the words I’d like to keep there. I notice the way his tail flicks against his side when I wipe the cloth higher, across muscled pecs.

When I’ve finally run out of excuses to keep using the cloth, I’m still not done touching him. I set the cloth aside with a thundering heart and trail my bare fingertips over his skin. He feels hot and smooth. Almost as good as the feel of his hard cock in my hand before.

At the sound of his sigh, I look up to see him watching me. This time I can’t look away.

“You are so beautiful when you come,” he tells me huskily.

A little flutter low in my belly dares me to deny his words mean something. “Thank you.”

“So beautiful. Thank you for giving that to me.”

-- Next to the entry, the page also holds materials data --
____________
No. 1
Here is crystalline K15Cr7N19 at its relaxed geometry from the Materials Project. Energies are from PBE. Values from VASP.

Values from the calculation:
**E_tot**: -6.273 eV/atom
**Energy of formation from the pure elements**: -0.522 eV/atom
**Symmetry**: P-1 (2)
**Volume**: 1484.31 Å³/cell

The structure in Quantum ESPRESSO input format:
```
&SYSTEM
  ibrav = 0, nat = 82, ntyp = 3
/
ATOMIC_SPECIES
K 39.10 K.upf
Cr 52.00 Cr.upf
N 14.01 N.upf
CELL_PARAMETERS angstrom
6.733 0.000 0.000
1.908 11.895 0.000
1.444 -0.181 18.533
ATOMIC_POSITIONS crystal
K 0.000 0.000 0.000
K 0.014 0.841 0.513
K 0.045 0.165 0.283
K 0.047 0.545 0.888
K 0.133 0.681 0.330
K 0.134 0.394 0.397
K 0.233 0.771 0.890
K 0.255 0.242 0.774
K 0.286 0.580 0.502
K 0.292 0.522 0.695
K 0.361 0.627 0.156
K 0.385 0.892 0.345
K 0.401 0.387 0.030
K 0.448 0.932 0.775
K 0.483 0.121 0.933
K 0.500 0.000 0.500
K 0.517 0.879 0.067
K 0.552 0.068 0.225
K 0.599 0.613 0.970
K 0.615 0.108 0.655
K 0.639 0.373 0.844
K 0.708 0.478 0.305
K 0.714 0.420 0.498
K 0.745 0.758 0.226
K 0.767 0.229 0.110
K 0.866 0.606 0.603
K 0.867 0.319 0.670
K 0.953 0.455 0.112
K 0.955 0.835 0.717
K 0.986 0.159 0.487
Cr 0.031 0.278 0.945
Cr 0.111 0.913 0.183
Cr 0.150 0.046 0.643
Cr 0.255 0.159 0.103
Cr 0.318 0.289 0.559
Cr 0.348 0.363 0.227
Cr 0.431 0.776 0.620
Cr 0.569 0.224 0.380
Cr 0.652 0.637 0.773
Cr 0.682 0.711 0.441
Cr 0.745 0.841 0.897
Cr 0.850 0.954 0.357
Cr 0.889 0.087 0.817
Cr 0.969 0.722 0.055
N 0.023 0.828 0.120
N 0.038 0.983 0.401
N 0.071 0.069 0.736
N 0.110 0.387 0.556
N 0.125 0.209 0.027
N 0.131 0.047 0.146
N 0.165 0.472 0.252
N 0.174 0.625 0.032
N 0.221 0.335 0.906
N 0.232 0.712 0.617
N 0.241 0.268 0.166
N 0.243 0.163 0.605
N 0.333 0.852 0.208
N 0.354 0.924 0.635
N 0.418 0.250 0.466
N 0.426 0.281 0.307
N 0.457 0.591 0.818
N 0.493 0.107 0.078
N 0.495 0.335 0.606
N 0.505 0.665 0.394
N 0.507 0.893 0.922
N 0.543 0.409 0.182
N 0.574 0.719 0.693
N 0.582 0.750 0.534
N 0.646 0.076 0.365
N 0.667 0.148 0.792
N 0.757 0.837 0.395
N 0.759 0.732 0.834
N 0.768 0.288 0.383
N 0.779 0.665 0.094
N 0.826 0.375 0.968
N 0.835 0.528 0.748
N 0.869 0.953 0.854
N 0.875 0.791 0.973
N 0.890 0.613 0.444
N 0.929 0.931 0.264
N 0.962 0.017 0.599
N 0.977 0.172 0.880
```

No. 2
Here is crystalline OsC4O4 at its relaxed geometry from the Materials Project. Energies are from PBE. Values from VASP.

Values from the calculation:
**E_tot**: -8.208 eV/atom
**Energy of formation from the pure elements**: -0.966 eV/atom
**Symmetry**: P2_1/c (14)
**Volume**: 1796.03 Å³/cell
**Offset from the most stable computed form**: 0 kJ/mol of formula units

The structure in Quantum ESPRESSO input format:
```
&SYSTEM
  ibrav = 0, nat = 108, ntyp = 3
/
ATOMIC_SPECIES
Os 190.23 Os.upf
C 12.01 C.upf
O 16.00 O.upf
CELL_PARAMETERS angstrom
8.173 0.000 0.000
0.000 15.141 0.000
-5.375 0.000 14.515
ATOMIC_POSITIONS crystal
Os 0.143 0.081 0.340
Os 0.143 0.419 0.840
Os 0.267 0.168 0.203
Os 0.267 0.332 0.703
Os 0.278 0.527 0.722
Os 0.278 0.973 0.222
Os 0.722 0.027 0.778
____________
-- Here the entry continues --

Inside me, butterflies are having a party in my stomach, but I do my best to keep my expression calm. “If you’re very good, I’ll let you do it again next time.” My wet, tingling pussy would like me to climb back onto him and insist he do it again right now, but that’s not how this works, is it?

I don’t know. I don’t really know what I’m doing. The rogue desire only makes that clearer.

Shaking off the feeling, I gesture to Jarradek. “Roll onto your tummy. Let me rub your back.” After all, he’s the paying client. That feels right.

• These crystal structures were left in the entry by mistake:
- - -
[1]
# Li3Fe3O8

A geometry-optimized Li3Fe3O8 structure (PBE with a Hubbard U, the Materials Project database).

The structure in CIF format:
```
data_Li3Fe3O8
_chemical_formula_sum 'Li12 Fe12 O32'
_symmetry_space_group_name_H-M 'C 1 c 1'
_symmetry_Int_Tables_number 9
_cell_length_a 5.832
_cell_length_b 10.178
_cell_length_c 9.866
_cell_angle_alpha 90.00
_cell_angle_beta 90.57
_cell_angle_gamma 90.00
loop_
_symmetry_equiv_pos_as_xyz
'x,y,z'
'x,-y,z+1/2'
'x+1/2,y+1/2,z'
'x+1/2,-y+1/2,z+1/2'
loop_
_atom_site_label
_atom_site_type_symbol
_atom_site_fract_x
_atom_site_fract_y
_atom_site_fract_z
Li1 Li 0.000 0.000 0.000
Li2 Li 0.004 0.334 0.497
Li3 Li 0.014 0.334 0.884
Fe1 Fe 0.007 0.168 0.214
Fe2 Fe 0.253 0.415 0.213
Fe3 Fe 0.259 0.084 0.714
O1 O 0.003 0.154 0.610
O2 O 0.011 0.483 0.320
O3 O 0.024 0.339 0.098
O4 O 0.236 0.077 0.113
O5 O 0.236 0.260 0.320
O6 O 0.271 0.424 0.611
O7 O 0.285 0.241 0.818
O8 O 0.490 0.494 0.319
```

[2]
# Nd2NiO4

A geometry-optimized Nd2NiO4 structure (PBE with a Hubbard U, the Materials Project database).

The structure in CIF format:
```
data_Nd2NiO4
_chemical_formula_sum 'Nd8 Ni4 O16'
_symmetry_space_group_name_H-M 'P 42/n c m'
_symmetry_Int_Tables_number 138
_cell_length_a 5.576
_cell_length_b 5.576
_cell_length_c 12.142
_cell_angle_alpha 90.00
_cell_angle_beta 90.00
_cell_angle_gamma 90.00
loop_
_symmetry_equiv_pos_as_xyz
'x,y,z'
'-x,-y,-z'
'-y+1/2,x,z+1/2'
'y+1/2,-x,-z+1/2'
'-x+1/2,-y+1/2,z'
'x+1/2,y+1/2,-z'
'y,-x+1/2,z+1/2'
'-y,x+1/2,-z+1/2'
'x+1/2,-y,-z+1/2'
'-x+1/2,y,z+1/2'
'-y,-x,-z'
'y,x,z'
'-x,y+1/2,-z+1/2'
'x,-y+1/2,z+1/2'
'y+1/2,x+1/2,-z'
'-y+1/2,-x+1/2,z'
loop_
_atom_site_label
_atom_site_type_symbol
_atom_site_fract_x
_atom_site_fract_y
_atom_site_fract_z
Nd1 Nd 0.017 0.017 0.137
Ni1 Ni 0.000 0.000 0.500
O1 O 0.054 0.054 0.680
O2 O 0.250 0.250 0.470
O3 O 0.250 0.750 0.000
```

[3]
# VCdCuO4

A geometry-optimized VCdCuO4 structure (PBE with a Hubbard U, the Materials Project database).

The structure in CIF format:
```
data_VCdCuO4
_chemical_formula_sum 'V4 Cd4 Cu4 O16'
_symmetry_space_group_name_H-M 'C m c m'
_symmetry_Int_Tables_number 63
_symmetry_space_group_name_Hall '-C 2c 2'
_cell_length_a 6.089
_cell_length_b 9.204
_cell_length_c 6.564
_cell_angle_alpha 90.00
_cell_angle_beta 90.00
_cell_angle_gamma 90.00
loop_
_atom_site_label
_atom_site_type_symbol
_atom_site_fract_x
_atom_site_fract_y
_atom_site_fract_z
V1 V 0.000 0.134 0.250
Cd1 Cd 0.000 0.500 0.000
Cu1 Cu 0.000 0.194 0.750
O1 O 0.000 0.241 0.031
O2 O 0.234 0.018 0.250
```

[4]
# Li5Mn3O8

A geometry-optimized Li5Mn3O8 structure (PBE with a Hubbard U, the Materials Project database).

The structure in CIF format:
```
data_Li5Mn3O8
_chemical_formula_sum 'Li5 Mn3 O8'
_symmetry_space_group_name_H-M 'P 1 2/m 1'
_symmetry_Int_Tables_number 10
_cell_length_a 5.204
_cell_length_b 2.904
_cell_length_c 9.886
_cell_angle_alpha 90.00
_cell_angle_beta 100.98
_cell_angle_gamma 90.00
loop_
_symmetry_equiv_pos_as_xyz
'x,y,z'
'-x,-y,-z'
'-x,y,-z'
'x,-y,z'
- - -

When Jarradek does as I request, I climb over him and rub my hands up and over his broad shoulders. His groan of pleasure suggests this is just what he needs; I have to admit this is not much of a chore for me either.

We’re quiet for a while. I concentrate on teasing out the knots around his neck and in his upper back, kneading with my knuckles and working in small circles until his back feels looser. I’m hyper-conscious of the heat of his body between my thighs.

**Data records, as found in the file**
- - -
Entry 1:
Material: Ba2SrCrO6
Method: DFT, PBE with a Hubbard U
State: optimized geometry

Calculated values
DFT formation energy: -2.5199 eV/atom
V: 154 Å³/f.u.
corrected total energy (MP2020 scheme): -70.1 eV for the cell shown

```
data_Ba2SrCrO6
_chemical_formula_sum 'Ba2 Sr1 Cr1 O6'
_symmetry_space_group_name_H-M 'P 1'
_symmetry_Int_Tables_number 1
_cell_length_a 6.016
_cell_length_b 6.016
_cell_length_c 6.016
_cell_angle_alpha 60.00
_cell_angle_beta 60.00
_cell_angle_gamma 60.00
loop_
_symmetry_equiv_pos_as_xyz
'x,y,z'
loop_
_atom_site_label
_atom_site_fract_x
_atom_site_fract_y
_atom_site_fract_z
_atom_site_occupancy
O1 0.782 0.782 0.218 1
O2 0.218 0.782 0.218 1
Sr1 0.500 0.500 0.500 1
Cr1 0.000 0.000 0.000 1
Ba1 0.750 0.750 0.750 1
O3 0.782 0.218 0.218 1
O4 0.218 0.218 0.782 1
O5 0.782 0.218 0.782 1
O6 0.218 0.782 0.782 1
Ba2 0.250 0.250 0.250 1
```

=====

Entry 2:
Material: Ba2SrCrO6
Method: DFT, PBE with a Hubbard U
State: optimized geometry

Calculated values
DFT formation energy: -2.5148 eV/atom
V: 155 Å³/f.u.
corrected total energy (MP2020 scheme): -280.1 eV for the cell shown

```
data_Ba2SrCrO6
_chemical_formula_sum 'Ba8 Sr4 Cr4 O24'
_symmetry_space_group_name_H-M 'P 1'
_symmetry_Int_Tables_number 1
_cell_length_a 8.524
_cell_length_b 8.524
_cell_length_c 8.524
_cell_angle_alpha 90.00
_cell_angle_beta 90.00
_cell_angle_gamma 90.00
loop_
_symmetry_equiv_pos_as_xyz
'x,y,z'
loop_
_atom_site_label
_atom_site_fract_x
_atom_site_fract_y
_atom_site_fract_z
_atom_site_occupancy
O1 0.728 0.225 0.034 1
O2 0.228 0.275 0.534 1
Ba1 0.500 0.000 0.000 1
O3 0.034 0.728 0.225 1
O4 0.725 0.466 0.228 1
Sr1 0.250 0.750 0.750 1
Ba2 0.500 0.000 0.500 1
O5 0.966 0.728 0.775 1
O6 0.228 0.725 0.466 1
Sr2 0.750 0.250 0.750 1
Sr3 0.750 0.750 0.250 1
O7 0.034 0.272 0.775 1
O8 0.728 0.775 0.966 1
Ba3 0.500 0.500 0.000 1
O9 0.466 0.772 0.275 1
O10 0.772 0.725 0.534 1
Ba4 0.000 0.500 0.000 1
O11 0.225 0.966 0.272 1
O12 0.272 0.775 0.034 1
Ba5 0.500 0.500 0.500 1
O13 0.966 0.272 0.225 1
O14 0.534 0.228 0.275 1
O15 0.772 0.275 0.466 1
O16 0.466 0.228 0.725 1
O17 0.775 0.966 0.728 1
Cr1 0.750 0.750 0.750 1
O18 0.725 0.534 0.772 1
Cr2 0.250 0.250 0.750 1
Cr3 0.750 0.250 0.250 1
Ba6 0.000 0.500 0.500 1
O19 0.225 0.034 0.728 1
Ba7 0.000 0.000 0.500 1
O20 0.534 0.772 0.725 1
O21 0.272 0.225 0.966 1
O22 0.275 0.534 0.228 1
Sr4 0.250 0.250 0.250 1
O23 0.775 0.034 0.272 1
Cr4 0.250 0.750 0.250 1
Ba8 0.000 0.000 0.000 1
O24 0.275 0.466 0.772 1
```

=====

Entry 3:
Material: BaSrCr4O12
Method: DFT, PBE with a Hubbard U
State: optimized geometry

Calculated values
DFT formation energy: -1.9024 eV/atom
V: 226 Å³/f.u.
corrected total energy (MP2020 scheme): -135.8 eV for the cell shown

```
data_BaSrCr4O12
_chemical_formula_sum 'Ba1 Sr1 Cr4 O12'
_symmetry_space_group_name_H-M 'P 1'
_symmetry_Int_Tables_number 1
_cell_length_a 5.420
_cell_length_b 5.420
_cell_length_c 7.684
_cell_angle_alpha 90.00
_cell_angle_beta 90.00
_cell_angle_gamma 90.00
loop_
_symmetry_equiv_pos_as_xyz
- - -

After a while he asks, “May I ask you if you have other clients? Is that why you’re hard to book? I’d see you every day, if I could.”

Unsure how much to say, I pause. “No. No other clients right now.” I don’t want to admit I’ve never had any other clients except him. Despite the fact he seems well pleased, I need his business too much right now.

He falls silent again and I knead into his lower back, shifting so I’m sitting on his taut ass.

“Then, can I see you more often? Please. I need more of this.” His voice carries so much sincerity. The moment is so tender.

I feel bad. I’d honestly like to take the extra bookings, but I’d need to arrange proper childcare. Before I know it—before I mean to—the truth slips out. “I can’t.”

His tail flicks against my leg. “Why not?”

“Because I’m also a mom.”

I still, waiting for the negative reaction. Guys like this don’t want to know the reality. Why did I even say it? I should have kept up the facade of mysterious and alluring mistress.

Then Jarradek surprises me. “How old?”


“How old are your children? If you don’t mind me asking.”

Tentatively, I resume massaging. “Three and seven.”

A low rumble comes from deep in his chest. “I bet they’re gorgeous. And I bet you’re a great mom.”

I shake my head. There’s no reason why his simple words of praise should make my throat go tight and tears spring to my eyes. Only, I don’t think anyone has ever told me that before. I never realized how much I wanted to be told.

I brush back a strand of hair from my face, flustered. “I’m not sure that’s true.”

I continue with the massage.

He captures my hand when I rub up and over his shoulder. His large, warm hand feels firm, but not forceful. “I’m sure it is true.”